php Programming Glossary: lie
Utility of HTTP header “Content-Type: application/force-download” for mobile? force download means I the web server am going to lie to you the browser about what this file is so that you will.. . It is a dirty hack that breaks horribly when the client doesn't do save to disk . Use the correct mime type for whatever.. attachment etc etc header if you want to encourage the client to download it instead of following the default behaviour...
Use DLL in PHP? DLL in PHP I'm not going to lie. I'm not all the familiar with Windows and COM objects. That's.. out of Apache In my journey around the internets i believe that i have 2 options compile the dll as an extension for..
== Unrelated to this page: crystal structures ==
=====
#a
## PaCl3O (PBE-GGA)

Data for a geometry-optimized PaCl3O structure.

Lattice parameters (Å, degrees): 7.5010 10.3926 8.5832 90.00 90.00 90.00
Last column: nearest neighbours and their distance in Å.
Space group Imma (No. 74)
Symmetry-distinct sites (fractional):
Pa  0.2500  0.2500  0.2500 [4 per cell]  2 O 2.09
Cl  0.0000  0.2500  0.0156 [4 per cell]  2 Pa 2.75, 1 O 2.94
Cl  0.2500  0.0066  0.2500 [8 per cell]  1 Pa 2.53
O  0.0000  0.2500  0.3582 [4 per cell]  2 Pa 2.09



#b
## PaCl3O (PBE-GGA)

Data for a geometry-optimized PaCl3O structure.

Lattice parameters (Å, degrees): 8.5483 3.8475 7.8620 90.00 90.00 90.00
Last column: nearest neighbours and their distance in Å.
Space group Pmma (No. 51)
Symmetry-distinct sites (fractional):
Pa  0.2500  0.0000  0.1095 [2 per cell]  2 O 2.07
Cl  0.0498  0.0000  0.8000 [4 per cell]  2 Pa 2.66-2.97
Cl  0.2500  0.5000  0.3718 [2 per cell]  2 Pa 2.82, 1 O 2.84
O  0.2500  0.5000  0.0111 [2 per cell]  2 Pa 2.07



Ranking the structures above by stability puts #b first and #a last.


# 1
DFT (GGA-PBE) results for ScNbS2Cl after structural relaxation.

Values from the calculation:
The polymorph energy (0 for the lowest one) comes out at 0.82 eV per formula unit. Its density of states at the Fermi level is 0.90 states/eV per atom. Its final energy is -5.68 eV per atom. Its formation energy from raw total energies is -0.382 eV per atom.

a = 4.959 Å, b = 4.959 Å, c = 4.696 Å
α = 90.00°, β = 90.00°, γ = 90.00°
Fractional coordinates of all 5 atoms:
Sc 0.000 0.000 0.000
Nb 0.500 0.500 0.500
S 0.000 0.500 0.000
S 0.500 0.000 0.000
Cl 0.000 0.000 0.500

***

# 2
DFT (GGA-PBE) results for Ag7SnHg3 after structural relaxation.

Values from the calculation:
For the formation energy, the calculation gives 0.147 eV per atom. Its density of states at the Fermi level is 0.37 states/eV per atom. Its final energy is -2.11 eV per atom.

a = 7.001 Å, b = 7.001 Å, c = 5.503 Å
α = 108.34°, β = 108.34°, γ = 90.23°
Fractional coordinates of all 11 atoms:
Ag 0.000 0.000 0.000
Ag 0.079 0.567 0.320
Ag 0.279 0.279 0.957
Ag 0.433 0.921 0.680
Ag 0.567 0.079 0.320
Ag 0.721 0.721 0.043
Ag 0.921 0.433 0.680
Sn 0.000 0.000 0.500
Hg 0.295 0.705 0.000
Hg 0.500 0.500 0.500
Hg 0.705 0.295 0.000

***

# 3
DFT (GGA-PBE) results for TmZrCdPb after structural relaxation.

Values from the calculation:
For the formation energy, the calculation gives -0.139 eV per atom. Its density of states at the Fermi level is 0.98 states/eV per atom. Its final energy is -4.55 eV per atom.

a = 7.308 Å, b = 7.308 Å, c = 7.308 Å
α = 90.00°, β = 90.00°, γ = 90.00°
Fractional coordinates of all 16 atoms:
Tm 0.000 0.000 0.000
Tm 0.000 0.500 0.500
Tm 0.500 0.000 0.500
Tm 0.500 0.500 0.000
Zr 0.000 0.000 0.500
Zr 0.000 0.500 0.000
Zr 0.500 0.000 0.000
Zr 0.500 0.500 0.500
Cd 0.250 0.250 0.750
Cd 0.250 0.750 0.250
Cd 0.750 0.250 0.250
Cd 0.750 0.750 0.750
Pb 0.250 0.250 0.250
Pb 0.250 0.750 0.750
Pb 0.750 0.250 0.750
Pb 0.750 0.750 0.250

***

# 4
=====
== Here the page continues ==
MP3 and OGG tags in PHP Lyrics3 In stable they should be supported if the don't lie Tag formats ID3v1 v1.0 v1.1 ID3v2 v2.2 v2.3 v2.4 APE tags v1..
browscap ini directive not set what you need for your website first of all browsers can lie they can send whatever thay want as User Agent And even if a.. browscap.ini contains information on many browsers it relies on user updates to keep the database current. The format of..
Empty $_POST array in PHP 5.2.6 / IIS CGI to no avail. Any ideas where the problem might lie php iis share improve this question Well if it's any consolation..
php force download extension Thank you php share improve this question You can lie about the mimetype but besides that there isn't anything you..
Codeigniter isn't routing right that config 'uri_protocol' is set to AUTO the default I believe or REQUEST_URI . Following that the most likely cause is that.. If not you aren't getting a 500 error so the problem would lie with the .htaccess file and in that case you should confirm..
== Records of crystals, kept here for reference ==
=====
Entry 1:
Below is a geometry-optimized Dy3Si4Ge4 structure, with properties calculated at the PBE level. Values from VASP.

- uncorrected energy (eV per atom) = -5.193
- SG = Immm, No. 71

Cell and atoms, written as Quantum ESPRESSO input:
```
&SYSTEM
  ibrav = 0, nat = 11, ntyp = 3
/
ATOMIC_SPECIES
Si 28.09 Si.upf
Ge 72.64 Ge.upf
Dy 162.50 Dy.upf
CELL_PARAMETERS angstrom
-2.120 3.406 7.613
2.120 -3.406 7.613
2.120 3.406 -7.613
ATOMIC_POSITIONS angstrom
Si 2.120 1.211 -2.319
Si 2.120 1.211 2.319
Si 0.000 2.195 5.294
Si 0.000 2.195 9.931
Ge 0.000 1.260 7.613
Ge 0.000 0.000 11.955
Ge 0.000 0.000 3.271
Ge 2.120 2.146 0.000
Dy 2.120 0.000 5.608
Dy 0.000 3.406 2.004
Dy 0.000 0.000 0.000
```



Entry 2:
Below is a geometry-optimized SrZnCu2 structure, with properties calculated at the PBE level. Values from VASP.

- uncorrected energy (eV per atom) = -2.438
- SG = F-43m, No. 216

Cell and atoms, written as Quantum ESPRESSO input:
```
&SYSTEM
  ibrav = 0, nat = 4, ntyp = 3
/
ATOMIC_SPECIES
Cu 63.55 Cu.upf
Sr 87.62 Sr.upf
Zn 65.41 Zn.upf
CELL_PARAMETERS angstrom
0.000 3.386 3.386
3.386 0.000 3.386
3.386 3.386 0.000
ATOMIC_POSITIONS angstrom
Cu 1.693 1.693 1.693
Cu 0.000 0.000 0.000
Sr 5.080 5.080 5.080
Zn 3.386 3.386 3.386
```



Entry 3:
Below is a geometry-optimized LaBeCoPb structure, with properties calculated at the PBE level. Values from VASP.

- uncorrected energy (eV per atom) = -4.693
- offset from the most stable computed form (eV/atom) = 0.0000
- SG = F-43m, No. 216

Cell and atoms, written as Quantum ESPRESSO input:
```
&SYSTEM
  ibrav = 0, nat = 4, ntyp = 4
/
ATOMIC_SPECIES
Pb 207.20 Pb.upf
La 138.91 La.upf
Co 58.93 Co.upf
Be 9.01 Be.upf
CELL_PARAMETERS angstrom
0.000 3.363 3.363
3.363 0.000 3.363
3.363 3.363 0.000
ATOMIC_POSITIONS angstrom
Pb 0.000 0.000 0.000
La 3.363 3.363 3.363
Co 1.682 1.682 1.682
Be 5.045 5.045 5.045
```

* * * * *

# 1
The following is a GGA-PBE calculation of La2SmHg3 after structural relaxation, from Alexandria via LeMat-Bulk.

**SG**: P4/mmm
**Size of the total moment**: 1.11 μB per cell
**N(E_F)**: 1.230 states/eV per atom

a = 3.8602 Å, b = 3.8602 Å, c = 11.6935 Å
α = 90.00°, β = 90.00°, γ = 90.00°
Last column: nearest neighbours and their distance in Å.
Sites, in units of the cell vectors:
Hg: 0.0000 0.0000 0.0000  8 La 3.38
Hg: 0.0000 0.0000 0.3449  4 Sm 3.28, 4 La 3.41, 1 Hg 3.63
Hg: 0.0000 0.0000 0.6551  4 Sm 3.28, 4 La 3.41, 1 Hg 3.63
La: 0.5000 0.5000 0.8294  8 Hg 3.38-3.41
La: 0.5000 0.5000 0.1706  8 Hg 3.38-3.41
Sm: 0.5000 0.5000 0.5000  8 Hg 3.28


# 2
The following is a GGA-PBE calculation of TbPmC after structural relaxation, from Alexandria via LeMat-Bulk.

**SG**: P3m1
**Size of the total moment**: 0.00 μB per cell
**N(E_F)**: 0.851 states/eV per atom
**Excess energy over the best structure of this formula in the dataset**: 12 meV/atom

a = 6.4839 Å, b = 3.6169 Å, c = 3.6169 Å
α = 120.00°, β = 90.00°, γ = 90.00°
Last column: nearest neighbours and their distance in Å.
=====
== The text goes on ==
What's the best way to detect a browser with php? that that isn't a good way to do it since browsers can lie and send any user agent info that they want. So does anyone.. of a sure fire way to detect the type of browser that the client is using php browser user agent share improve this question..
How can I block direct access to my JavaScript files? the minified versions of the JavaScript files. Minify lies at min and my scripts are at scripts which is where my unminified JavaScript files lie. I'd rather not put them out of the document root but it's an..
What's the disadvantage of mt_rand? is 2 19937 1. Also all the values generated by an LCG will lie on lines or planes when plotted into a multidemensional space...
These calculated crystals were left in the article by mistake:
Entry 1:
## Fe2Co2Rh (PBE)

Data for crystalline Fe2Co2Rh at its relaxed geometry.

a b c (Å): 2.5625 4.1051 6.2446
angles (deg): 109.19 101.84 90.00
Fractional positions:
Co: 0.2897 0.7897 0.5794
Co: 0.7103 0.2103 0.4206
Rh: 0.0000 0.0000 0.0000
Fe: 0.3948 0.3948 0.7895
Fe: 0.6052 0.6052 0.2105

Summary:
**Magnetization**: 9.0 μB per cell
**Calculated volume**: 12.11 Å³/atom
**Calculated formation energy**: 0.090 eV per atom
**Symmetry**: Immm, No. 71

Entry 2:
## Fe2CoRh8 (PBE)

Data for crystalline Fe2CoRh8 at its relaxed geometry.

a b c (Å): 3.8090 5.9984 7.0693
angles (deg): 105.00 105.63 90.00
Fractional positions:
Rh: 0.1381 0.1867 0.2763
Rh: 0.4055 0.5465 0.8110
Rh: 0.0448 0.7309 0.0897
Rh: 0.3191 0.0910 0.6382
Rh: 0.5945 0.4535 0.1890
Rh: 0.9552 0.2691 0.9103
Rh: 0.8619 0.8133 0.7237
Rh: 0.6809 0.9090 0.3618
Co: 0.5000 0.0000 0.0000
Fe: 0.7732 0.3603 0.5464
Fe: 0.2268 0.6397 0.4536

Summary:
**Magnetization**: 8.7 μB per cell
**Calculated volume**: 13.62 Å³/atom
**Calculated formation energy**: 0.007 eV per atom
**Symmetry**: C2/m, No. 12

Entry 3:
## Fe6CoRh (PBE)

Data for crystalline Fe6CoRh at its relaxed geometry.

a b c (Å): 4.0964 5.0319 5.0319
angles (deg): 109.77 90.00 90.00
Fractional positions:
Fe: 0.0000 0.7608 0.7608
Fe: 0.5000 0.5000 0.0000
Fe: 0.5000 0.0000 0.5000
Fe: 0.0000 0.7491 0.2509
Fe: 0.0000 0.2509 0.7491
Fe: 0.0000 0.2392 0.2392
Rh: 0.5000 0.5000 0.5000
Co: 0.5000 0.0000 0.0000

Summary:
**Magnetization**: 18.7 μB per cell
**Calculated volume**: 12.20 Å³/atom
**Calculated formation energy**: -0.026 eV per atom
**Symmetry**: Cmmm, No. 65

Entry 4:
## Fe2CoRh (PBE)

Data for crystalline Fe2CoRh at its relaxed geometry.

a b c (Å): 3.5066 3.5066 8.7833
angles (deg): 78.49 78.49 90.00
Fractional positions:
Fe: 0.8750 0.8542 0.7500
Fe: 0.6042 0.1250 0.2500
Fe: 0.3750 0.3958 0.7500
Fe: 0.1458 0.6250 0.2500
Rh: 0.7500 0.2500 0.5000
Rh: 0.0000 0.0000 0.0000
Co: 0.5000 0.5000 0.0000
Co: 0.2500 0.7500 0.5000

Summary:
**Magnetization**: 8.7 μB per cell
**Calculated volume**: 12.95 Å³/atom
**Calculated formation energy**: 0.538 eV per atom
**Symmetry**: I-42d, No. 122

Entry 5:
## FeCoRh4 (PBE)

Data for crystalline FeCoRh4 at its relaxed geometry.

a b c (Å): 7.1373 5.1168 5.1207
angles (deg): 117.19 90.00 90.00
Fractional positions:
Rh: 0.3108 0.7487 0.7513
Rh: 0.8108 0.7513 0.2487
Rh: 0.6892 0.7488 0.7514
Rh: 0.1892 0.2487 0.7513
Rh: 0.8108 0.2488 0.7514
Rh: 0.3108 0.2512 0.2486
Rh: 0.1892 0.7512 0.2486
Rh: 0.6892 0.2513 0.2487
Fe: 0.0000 0.5000 0.5000
Fe: 0.5000 0.0000 0.5000
Co: 0.5000 0.5000 0.0000
Co: 0.0000 0.0000 0.0000

Summary:
**Magnetization**: 8.7 μB per cell
**Calculated volume**: 13.86 Å³/atom
**Calculated formation energy**: 0.161 eV per atom
**Symmetry**: C2/m, No. 12

Entry 6:
## FeCo4Rh15 (PBE)

Data for crystalline FeCo4Rh15 at its relaxed geometry.

a b c (Å): 3.7877 3.7877 18.8208
angles (deg): 90.00 90.00 90.00
Fractional positions:
Rh: 0.5000 0.5000 0.1991
Rh: 0.5000 0.0000 0.5000
PHPUnit best practices to organize tests include all of your production code so the numbers don't lie to you Autoloading and bootstrapping your tests You don't need..